Material =
/*
ORCA calculation (the ωB97M-V functional and the def2-TZVPD basis) on a molecular structure, C20H20AuCl5N3Si.

Results
**HOMO-LUMO gap (spin up / spin down)**: 8.893 / 6.249 eV
**DFT total energy**: -99711.6535 eV
**Energy relative to the best compared isomer or geometry (same formula, charge and spin)**: 3.9 kcal/mol
**<S²>**: 2.046
**Lowest unoccupied orbital energy (spin up / spin down)**: -2.333 / -5.379 eV
**Net charge**: +1
**Spin multiplicity**: 3

Cartesian coordinates (Å):
Au -0.79 0.48 0.65
Cl -2.21 -2.64 0.58
C -0.74 -2.50 -0.32
C -0.09 -1.28 -0.39
C 1.06 -1.19 -1.16
Cl 1.89 0.33 -1.27
C 1.57 -2.29 -1.85
Cl 3.00 -2.15 -2.78
C 0.90 -3.51 -1.76
Cl 1.52 -4.88 -2.59
C -0.26 -3.62 -1.00
Cl -1.09 -5.12 -0.90
C -1.98 2.23 -3.62
Si -2.57 1.70 -1.93
C -4.06 2.64 -1.30
C -2.94 -0.11 -1.98
N -1.21 1.96 -0.74
C -0.55 3.12 -0.61
C 0.66 3.20 0.16
C 1.35 4.38 0.29
C 0.86 5.54 -0.32
C -0.32 5.50 -1.07
C -1.01 4.33 -1.22
H -2.70 1.89 -4.36
H -1.03 1.73 -3.85
H -1.84 3.30 -3.76
H -4.93 2.36 -1.90
H -3.96 3.72 -1.34
H -4.28 2.35 -0.27
H -3.74 -0.27 -2.72
H -3.30 -0.51 -1.03
H -2.08 -0.70 -2.31
H 1.05 2.29 0.61
H 2.26 4.41 0.86
H 1.40 6.47 -0.21
H -0.69 6.41 -1.52
H -1.93 4.32 -1.78
N 1.85 -0.40 2.21
C 0.77 -0.79 2.95
C 0.95 -1.42 4.19
C -0.14 -1.74 4.96
C -1.42 -1.44 4.49
C -1.53 -0.83 3.27
N -0.46 -0.51 2.50
H 2.75 -0.76 2.48
H 1.74 -0.23 1.22
H 1.96 -1.63 4.53
H 0.00 -2.22 5.92
H -2.31 -1.67 5.06
H -2.50 -0.58 2.86


This record from OMol25 describes a molecular structure, C15H17BeNS2 at a distorted geometry. The level of theory is wB97M-V/def2-TZVPD.

Structure (XYZ):
```
36
Properties=species:S:1:pos:R:3:forces:R:3:lowdin_charge:R:1
S -1.544 0.390 2.406 0.28 -0.57 -0.12 1.1125
S 0.505 2.104 0.904 -0.14 -0.69 -0.39 1.0316
N 0.690 -0.485 1.530 -0.27 0.71 0.16 0.0346
C 0.394 3.591 -3.419 -2.28 0.11 -3.26 -0.3433
C -1.609 -3.716 2.767 0.17 0.55 -0.01 -0.0660
C 0.502 1.070 -3.101 0.11 -0.34 -0.87 -0.1949
C 2.479 1.918 -1.112 0.55 -0.35 0.17 -0.2241
C -1.210 -1.348 2.525 0.21 -0.20 0.09 -0.4231
C 1.134 3.956 -2.244 1.94 1.33 3.01 -0.3300
C -2.048 -2.394 2.925 0.17 -0.06 0.00 -0.0674
C 0.069 1.535 -1.708 -0.90 -1.71 1.05 -0.3670
C 0.535 -2.937 1.893 -0.28 -0.30 0.21 -0.0022
C -0.326 -3.980 2.252 0.15 0.38 0.03 -0.0631
C 2.443 3.310 -1.820 0.65 0.80 -0.08 -0.2029
C 0.602 2.267 -4.108 0.53 -0.25 -0.79 -0.2234
C -0.043 0.645 1.599 0.58 -0.42 0.28 -0.8795
C 0.067 -1.634 2.034 -0.06 0.05 -0.77 -0.2541
C 1.164 1.251 -0.677 -0.19 1.52 -1.77 -0.5002
Be -0.259 3.134 -2.038 -0.65 0.14 1.69 0.2080
H 1.540 -3.104 1.497 -0.39 -0.10 0.09 0.1233
H 2.983 1.209 -1.788 -0.25 0.05 0.24 0.1026
H 3.135 1.983 -0.229 -0.03 -0.02 -0.24 0.0932
H 1.307 0.163 -0.575 0.08 0.44 0.48 0.0961
H 1.122 5.016 -1.970 0.12 -0.11 -0.52 0.0860
H 1.454 0.504 -3.101 -0.27 0.16 0.11 0.0965
H 2.930 4.018 -1.120 -0.23 -0.26 -0.26 0.0980
H -0.168 2.142 -4.893 0.22 0.13 0.38 0.0988
H -3.026 -2.154 3.334 0.10 -0.23 -0.11 0.1138
H 1.575 -0.397 1.001 -0.71 -0.62 0.72 0.1619
H 1.563 2.220 -4.668 -0.08 -0.20 0.19 0.0911
H -0.855 1.032 -1.395 0.11 -0.55 0.11 0.0784
H -0.243 0.345 -3.472 0.19 0.28 0.05 0.1026
H -2.266 -4.545 3.037 0.22 0.32 -0.07 0.1118
H 3.141 3.275 -2.687 -0.15 -0.26 0.39 0.1079
H 0.002 -5.011 2.120 -0.09 0.28 0.07 0.1108
H -0.082 4.381 -4.001 0.61 -0.01 -0.23 0.0817
```
Forces are in eV/Å.

HOMO	-4.39	eV
E_LUMO	-1.078	eV
ΔE to the lowest compared entry with this formula, charge and spin	445.1	kJ/mol
*/

Job =
Next, give back the listing earlier on with every line break kept.

Here it is =
ORCA calculation (the ωB97M-V functional and the def2-TZVPD basis) on a molecular structure, C20H20AuCl5N3Si.

Results
**HOMO-LUMO gap (spin up / spin down)**: 8.893 / 6.249 eV
**DFT total energy**: -99711.6535 eV
**Energy relative to the best compared isomer or geometry (same formula, charge and spin)**: 3.9 kcal/mol
**<S²>**: 2.046
**Lowest unoccupied orbital energy (spin up / spin down)**: -2.333 / -5.379 eV
**Net charge**: +1
**Spin multiplicity**: 3

Cartesian coordinates (Å):
Au -0.79 0.48 0.65
Cl -2.21 -2.64 0.58
C -0.74 -2.50 -0.32
C -0.09 -1.28 -0.39
C 1.06 -1.19 -1.16
Cl 1.89 0.33 -1.27
C 1.57 -2.29 -1.85
Cl 3.00 -2.15 -2.78
C 0.90 -3.51 -1.76
Cl 1.52 -4.88 -2.59
C -0.26 -3.62 -1.00
Cl -1.09 -5.12 -0.90
C -1.98 2.23 -3.62
Si -2.57 1.70 -1.93
C -4.06 2.64 -1.30
C -2.94 -0.11 -1.98
N -1.21 1.96 -0.74
C -0.55 3.12 -0.61
C 0.66 3.20 0.16
C 1.35 4.38 0.29
C 0.86 5.54 -0.32
C -0.32 5.50 -1.07
C -1.01 4.33 -1.22
H -2.70 1.89 -4.36
H -1.03 1.73 -3.85
H -1.84 3.30 -3.76
H -4.93 2.36 -1.90
H -3.96 3.72 -1.34
H -4.28 2.35 -0.27
H -3.74 -0.27 -2.72
H -3.30 -0.51 -1.03
H -2.08 -0.70 -2.31
H 1.05 2.29 0.61
H 2.26 4.41 0.86
H 1.40 6.47 -0.21
H -0.69 6.41 -1.52
H -1.93 4.32 -1.78
N 1.85 -0.40 2.21
C 0.77 -0.79 2.95
C 0.95 -1.42 4.19
C -0.14 -1.74 4.96
C -1.42 -1.44 4.49
C -1.53 -0.83 3.27
N -0.46 -0.51 2.50
H 2.75 -0.76 2.48
H 1.74 -0.23 1.22
H 1.96 -1.63 4.53
H 0.00 -2.22 5.92
H -2.31 -1.67 5.06
H -2.50 -0.58 2.86


This record from OMol25 describes a molecular structure, C15H17BeNS2 at a distorted geometry. The level of theory is wB97M-V/def2-TZVPD.

Structure (XYZ):
```
36
Properties=species:S:1:pos:R:3:forces:R:3:lowdin_charge:R:1
S -1.544 0.390 2.406 0.28 -0.57 -0.12 1.1125
S 0.505 2.104 0.904 -0.14 -0.69 -0.39 1.0316
N 0.690 -0.485 1.530 -0.27 0.71 0.16 0.0346
C 0.394 3.591 -3.419 -2.28 0.11 -3.26 -0.3433
C -1.609 -3.716 2.767 0.17 0.55 -0.01 -0.0660
C 0.502 1.070 -3.101 0.11 -0.34 -0.87 -0.1949
C 2.479 1.918 -1.112 0.55 -0.35 0.17 -0.2241
C -1.210 -1.348 2.525 0.21 -0.20 0.09 -0.4231
C 1.134 3.956 -2.244 1.94 1.33 3.01 -0.3300
C -2.048 -2.394 2.925 0.17 -0.06 0.00 -0.0674
C 0.069 1.535 -1.708 -0.90 -1.71 1.05 -0.3670
C 0.535 -2.937 1.893 -0.28 -0.30 0.21 -0.0022
C -0.326 -3.980 2.252 0.15 0.38 0.03 -0.0631
C 2.443 3.310 -1.820 0.65 0.80 -0.08 -0.2029
C 0.602 2.267 -4.108 0.53 -0.25 -0.79 -0.2234
C -0.043 0.645 1.599 0.58 -0.42 0.28 -0.8795
C 0.067 -1.634 2.034 -0.06 0.05 -0.77 -0.2541
C 1.164 1.251 -0.677 -0.19 1.52 -1.77 -0.5002
Be -0.259 3.134 -2.038 -0.65 0.14 1.69 0.2080
H 1.540 -3.104 1.497 -0.39 -0.10 0.09 0.1233
H 2.983 1.209 -1.788 -0.25 0.05 0.24 0.1026
H 3.135 1.983 -0.229 -0.03 -0.02 -0.24 0.0932
H 1.307 0.163 -0.575 0.08 0.44 0.48 0.0961
H 1.122 5.016 -1.970 0.12 -0.11 -0.52 0.0860
H 1.454 0.504 -3.101 -0.27 0.16 0.11 0.0965
H 2.930 4.018 -1.120 -0.23 -0.26 -0.26 0.0980
H -0.168 2.142 -4.893 0.22 0.13 0.38 0.0988
H -3.026 -2.154 3.334 0.10 -0.23 -0.11 0.1138
H 1.575 -0.397 1.001 -0.71 -0.62 0.72 0.1619
H 1.563 2.220 -4.668 -0.08 -0.20 0.19 0.0911
H -0.855 1.032 -1.395 0.11 -0.55 0.11 0.0784
H -0.243 0.345 -3.472 0.19 0.28 0.05 0.1026
H -2.266 -4.545 3.037 0.22 0.32 -0.07 0.1118
H 3.141 3.275 -2.687 -0.15 -0.26 0.39 0.1079
H 0.002 -5.011 2.120 -0.09 0.28 0.07 0.1108
H -0.082 4.381 -4.001 0.61 -0.01 -0.23 0.0817
```
Forces are in eV/Å.

HOMO	-4.39	eV
E_LUMO	-1.078	eV
ΔE to the lowest compared entry with this formula, charge and spin	445.1	kJ/mol